The POF Wonder Rifle
Deryck PooleDescription
Standard Features
The POF Wonder Rifle features an ambidextrous rear sling mount, Renegade Rail with patented heat-sink barrel nut, MILSPEC+ bolt carrier group, single-stage straight match-grade trigger (with about 3.5 pounds of pull), roller-bearing cam pin that reduces friction and aids in reliability, POF’s new Strike Eagle ambidextrous charging handle and safety, and new Micro B single-port compensator/muzzle brake, which helps with recoil management.
Deryck is a fan of the Mission First Tactical minimalist stock, which the Wonder Rifle sports. This stock can be grabbed almost as a handle if needed. The Wonder Rifle has an Ergo Grip, which Deryck had never had on a rifle but he finds that it is indeed very ergonomic — comfortable to hold onto and it makes all the controls easily accessible.
E Squared Dual-Extraction System
The Wonder Rifle incorporates POF’s patented E2 (E Squared) dual-extraction system. Four shallow grooves are cut into the neck area of the chamber. Gas is vented rearward through these channels, easing extraction. It reduces stress on the extractor, enhancing reliability and meaning you can run steel-cased ammunition through the Wonder Rifle. Deryck has about 1,800 rounds, all steel cased, through the Wonder Rifle, and the rifle has run flawlessly. The benefit of steel-cased ammo is you can do a full day of rifle training, 1,000 rounds, for about $200.
This is the first rifle Deryck has ever purchased and not had to change anything out on it because he didn’t like it. The Wonder Rifle was good to go right out of the box. If an AR-type rifle is one of your home-defense weapons or you are looking for another training or duty rifle, Deryck highly recommends the light and reliable Wonder Rifle.
If you have any questions or comments on the POF Wonder Rifle, please leave them below.
Hey guys, Derek Poole here. I wanna talk to you about this rifle. The POF Wonder, POF came back on again, as a tour sponsor I got to attend a media day out in Arizona at the POF headquarters got to do some shooting of a lot of their new stuff. And this was one of their new rifles I got to shoot and I was really impressed with this gun. So I just wanna share a little bit about the gun with you and why I really like it.
So across the top here, I have, you know, backup sites a laser light combo, and a hollow sun optic on it that did not come with the rifle. That is stuff I added afterwards but let's look what actually comes standard on this rifle. First off it comes in at only six pounds which is incredibly light for an AR platform to start with before you have to add any accessories to it. Back here on the back, we have a Mission First Tactical Minimalist Stock. I'm a real big fan of the stock.
I've actually been running one of these for the last four or five years. Whenever they first came out, I got my hands on one, really liked that stock. You can put up with a lot of abuse. If you need the mortar a gun or whatever if you run into a malfunction, it can handle it. It makes it really easy to grab and go and use it as almost like a handle.
If it's set up, you just grab it and take off. So that's really nice. They use their anti-tilt buffering tube on this gun. That means that if for whatever reason you have to take the buffer tube on or off it's self center. So you don't have to worry about is it vertical is my stock in the right place.
(Misplaced materials data)
[1]
DFT (PBE) results for a relaxed structure of NaSiP2.

Cell: 7.571 7.571 7.571 Å, 25.77 25.77 25.77°
Atoms (fractional coordinates):
Na 0.000 0.000 0.000
Si 0.500 0.500 0.500
P 0.231 0.231 0.231
P 0.769 0.769 0.769

Calculated values
uncorrected formation energy = -0.0870 eV per atom
V = 72.2 Å³ per cell
spin magnetization = 0.00 μB/atom

[2]
DFT (PBE) results for a relaxed structure of NaSi2P2.

Cell: 5.232 5.232 5.232 Å, 128.04 128.04 76.56°
Atoms (fractional coordinates):
Na 0.000 0.000 0.000
Si 0.349 0.349 0.000
Si 0.651 0.651 0.000
P 0.250 0.750 0.500
P 0.750 0.250 0.500

Calculated values
uncorrected formation energy = -0.0896 eV per atom
V = 86.3 Å³ per cell
spin magnetization = 0.00 μB/atom

Q: Which of these has the highest V?
A: NaSi2P2

Q: What is the formula in the second record?
A: NaSi2P2

Q: Which value of V does entry 2 give?
A: 86.3 Å³ per cell
(End of the materials data)
So if you ever have to remove it, it lines itself back up, back here on the end plate they add a ambidextrous QD Mount here on the back of the rifle which makes it really easy for mounting your sling. Be it a QD adapter or just attaching your own QD adapter and leaving it there. So that's a real nice feature. It also comes with an ambidextrous charging handle their strike Eagle charging handle. I am a left-hander.
So having that ambidextrous capability makes it really nice but let's look inside the rifle now, once we look inside the rifle that has their flat face drop-in competition trigger runs about three and a half pounds of pool which is probably the lowest level. I like to go with a personal defense gun. It's a great trigger. It feels really nice. It also has the anti back out pins as that comes included as well as an ambidextrous safety looking at the lower receiver here there are these two little nylon pins.
What those are in there for is, as the gun gets used and use more. Sometimes you end up with a little bit of play between the upper and the lower receiver, that gives you the ability to back it out and re establish that nice tight fit when the gun is together. So that's really cool. The other cool thing about it is if they ever wear out and you need to replace them, you can just go to Home Depot and get them. You don't have to go contacting POF for a special part.
It's readily available. Down here on the grip and it comes with this ergo grip. This is the first gun I've ever had with an ergo grip. And I to tell you it's very ergonomic. It lives up to its name.
It's very easy to hold on to. It's nice to hold on to as well as makes all the controls very accessible from that grip. Up here on their bolt carrier their bolt and bolt carrier. They're known for their roller bearing campaign. You know, they added it into this rifle.
What it does is it cuts down on the amount of friction as this moves back and forth in the upper receiver and aides and reliability. So that's included in this rifle. The other thing is included in this rifle is there East square chambering system. If you're not familiar with it I recommend good reading up on it. But what it is in a nutshell is there's four little channels cut around the chamber of the barrel.
What that does is it aids in extraction by allowing gas spent gas after the bullet is fired to come back down the barrel and then an aid and the extraction of that spent case. It's one of those things that helps this gun run reliable as well as has POF saying, you can run steelcase to ammo in this gun and there will run reliably. I'll tell you this gun has about 1800 rounds through it all steel case, and it's run flawlessly. The nice thing about the steelcase is you can go out and get a good days of good days worth of training thousand rounds for about $200 maybe even a little bit less. So that's a nice feature that they've included in this rifle.
Let's start looking down at the rifle comes with a 14 and a half inch floating hand gun with QD mounts already built into the hand gun. If you've ever dealt with an AR before, a lot of the times you get them and there's no way to Mount a sling it's extra stuff you have to buy. It's already there on the gun. Then we moved down here to the end of the gun. It comes with what they call their micro B compensator muzzle device.
This thing right here, when I first saw it, didn't think this thing is really not gonna aid that much in recoil management. In fact, I was actually really surprised at how much it actually does work and do its job. So that's pretty much the high points of this POF rifle. The nice thing is this is actually the first rifle I've ever purchased and not had to change something out on it because I didn't really like it. This rifle was set up like that from the get go.
So if you're in the market for a new AR I highly recommend checking out the POF. If you're in the process of building a rifle you own a rifle and want to upgrade. A lot of these parts are available from POF that you can apply straight to your mil-spec AR. So if you have any questions or comments, please leave them down below and we'll get you answers as quickly as possible. Thanks a lot.
Hope to see out on the tour.
Thanks for the assessment. That appears to be a great addition to any personal armory. Well done.